Wanted.
Give back the lines further down up to the one that holds "**E_form**: -0.17", that line included.

Given.
'''
Entry 1:
This record from Alexandria describes a geometry-optimized AcSmDy2Bi4 structure. The functional is PBE.

Results
**Raw total energy**: -40.7 eV for the cell shown
**E_form**: -0.89 eV per atom
**Space-group type**: P2/m, No. 10
**Total moment**: 0.000 μB/cell

Lattice parameters (Å, degrees): 7.963 4.607 7.976 90.00 109.46 90.00
Fractional positions:
Ac  0.000  0.000  0.000
Sm  0.000  0.500  0.500
Dy  0.500  0.000  0.500
Dy  0.500  0.500  0.000
Bi  0.261  0.000  0.746
Bi  0.267  0.500  0.264
Bi  0.733  0.500  0.736
Bi  0.739  0.000  0.254

---

Entry 2:
This record from Alexandria describes a geometry-optimized Li2PbI2 structure. The functional is PBE.

Results
**Raw total energy**: -25.9 eV for the cell shown
**Formation energy (no corrections)**: -2.31 eV/f.u.
**Space-group type**: P4/mbm, No. 127
**Total moment**: 0.000 μB/cell

Lattice parameters (Å, degrees): 8.466 8.466 3.885 90.00 90.00 90.00
Fractional positions:
Li  0.148  0.352  0.000
Li  0.352  0.852  0.000
Li  0.648  0.148  0.000
Li  0.852  0.648  0.000
Pb  0.000  0.000  0.000
Pb  0.500  0.500  0.000
I  0.165  0.665  0.500
I  0.335  0.165  0.500
I  0.665  0.835  0.500
I  0.835  0.335  0.500

---

Entry 3:
This record from Alexandria describes a geometry-optimized InRh2C structure. The functional is PBE.

Results
**Raw total energy**: -106.0 eV for the cell shown
**E_form**: 0.04 eV per atom
**Space-group type**: I-42d, No. 122
**Total moment**: 0.000 μB/cell

Lattice parameters (Å, degrees): 6.451 6.451 5.740 90.00 90.00 90.00
Fractional positions:
In  0.000  0.000  0.000
In  0.000  0.500  0.250
In  0.500  0.000  0.750
In  0.500  0.500  0.500
Rh  0.135  0.250  0.625
Rh  0.250  0.635  0.875
Rh  0.250  0.865  0.375
Rh  0.365  0.250  0.125
Rh  0.635  0.750  0.125
Rh  0.750  0.135  0.375
Rh  0.750  0.365  0.875
Rh  0.865  0.750  0.625
C  0.000  0.000  0.500
C  0.000  0.500  0.750
C  0.500  0.000  0.250
C  0.500  0.500  0.000

---

Entry 4:
This record from Alexandria describes a geometry-optimized Y3CO6 structure. The functional is PBE.

Results
**Raw total energy**: -171.3 eV for the cell shown
**Formation energy (no corrections)**: -27.28 eV/f.u.
**Space-group type**: Cmc2_1, No. 36
**Total moment**: 2.000 μB/cell

Lattice parameters (Å, degrees): 6.966 6.966 5.772 90.00 90.00 102.54
Fractional positions:
Y  0.099  0.901  0.500
Y  0.190  0.412  0.469
Y  0.412  0.190  0.969
Y  0.588  0.810  0.469
Y  0.810  0.588  0.969
Y  0.901  0.099  0.000
C  0.319  0.681  0.853
C  0.681  0.319  0.353
O  0.121  0.612  0.800
O  0.154  0.172  0.735
O  0.172  0.154  0.235
O  0.283  0.717  0.352
O  0.388  0.879  0.800
O  0.439  0.561  0.764
O  0.561  0.439  0.264
O  0.612  0.121  0.300
O  0.717  0.283  0.852
O  0.828  0.846  0.735
O  0.846  0.828  0.235
O  0.879  0.388  0.300

---

Entry 5:
This record from Alexandria describes a geometry-optimized AlGe2Se structure. The functional is PBE.

Results
**Raw total energy**: -63.7 eV for the cell shown
**Formation energy (no corrections)**: 0.54 eV/f.u.
**Space-group type**: I-42d, No. 122
**Total moment**: 0.000 μB/cell

Lattice parameters (Å, degrees): 5.858 5.858 12.234 90.00 90.00 90.00
Fractional positions:
Al  0.000  0.000  0.000
Al  0.000  0.500  0.250
Al  0.500  0.000  0.750
Al  0.500  0.500  0.500
Ge  0.230  0.250  0.125
Ge  0.250  0.730  0.375
Ge  0.250  0.770  0.875
Ge  0.270  0.250  0.625
Ge  0.730  0.750  0.625
Ge  0.750  0.230  0.875
Ge  0.750  0.270  0.375
Ge  0.770  0.750  0.125
Se  0.000  0.000  0.500
Se  0.000  0.500  0.750
Se  0.500  0.000  0.250
Se  0.500  0.500  0.000

---

Entry 6:
This record from Alexandria describes a geometry-optimized AcNdErSn structure. The functional is PBE.

Results
**Raw total energy**: -72.6 eV for the cell shown
**E_form**: -0.17 eV per atom
**Space-group type**: F-43m, No. 216
**Total moment**: 0.002 μB/cell

Lattice parameters (Å, degrees): 7.923 7.923 7.923 90.00 90.00 90.00
Fractional positions:
Ac  0.000  0.000  0.000
Ac  0.000  0.500  0.500
Ac  0.500  0.000  0.500
'''

Solution.
Entry 1:
This record from Alexandria describes a geometry-optimized AcSmDy2Bi4 structure. The functional is PBE.

Results
**Raw total energy**: -40.7 eV for the cell shown
**E_form**: -0.89 eV per atom
**Space-group type**: P2/m, No. 10
**Total moment**: 0.000 μB/cell

Lattice parameters (Å, degrees): 7.963 4.607 7.976 90.00 109.46 90.00
Fractional positions:
Ac  0.000  0.000  0.000
Sm  0.000  0.500  0.500
Dy  0.500  0.000  0.500
Dy  0.500  0.500  0.000
Bi  0.261  0.000  0.746
Bi  0.267  0.500  0.264
Bi  0.733  0.500  0.736
Bi  0.739  0.000  0.254

---

Entry 2:
This record from Alexandria describes a geometry-optimized Li2PbI2 structure. The functional is PBE.

Results
**Raw total energy**: -25.9 eV for the cell shown
**Formation energy (no corrections)**: -2.31 eV/f.u.
**Space-group type**: P4/mbm, No. 127
**Total moment**: 0.000 μB/cell

Lattice parameters (Å, degrees): 8.466 8.466 3.885 90.00 90.00 90.00
Fractional positions:
Li  0.148  0.352  0.000
Li  0.352  0.852  0.000
Li  0.648  0.148  0.000
Li  0.852  0.648  0.000
Pb  0.000  0.000  0.000
Pb  0.500  0.500  0.000
I  0.165  0.665  0.500
I  0.335  0.165  0.500
I  0.665  0.835  0.500
I  0.835  0.335  0.500

---

Entry 3:
This record from Alexandria describes a geometry-optimized InRh2C structure. The functional is PBE.

Results
**Raw total energy**: -106.0 eV for the cell shown
**E_form**: 0.04 eV per atom
**Space-group type**: I-42d, No. 122
**Total moment**: 0.000 μB/cell

Lattice parameters (Å, degrees): 6.451 6.451 5.740 90.00 90.00 90.00
Fractional positions:
In  0.000  0.000  0.000
In  0.000  0.500  0.250
In  0.500  0.000  0.750
In  0.500  0.500  0.500
Rh  0.135  0.250  0.625
Rh  0.250  0.635  0.875
Rh  0.250  0.865  0.375
Rh  0.365  0.250  0.125
Rh  0.635  0.750  0.125
Rh  0.750  0.135  0.375
Rh  0.750  0.365  0.875
Rh  0.865  0.750  0.625
C  0.000  0.000  0.500
C  0.000  0.500  0.750
C  0.500  0.000  0.250
C  0.500  0.500  0.000

---

Entry 4:
This record from Alexandria describes a geometry-optimized Y3CO6 structure. The functional is PBE.

Results
**Raw total energy**: -171.3 eV for the cell shown
**Formation energy (no corrections)**: -27.28 eV/f.u.
**Space-group type**: Cmc2_1, No. 36
**Total moment**: 2.000 μB/cell

Lattice parameters (Å, degrees): 6.966 6.966 5.772 90.00 90.00 102.54
Fractional positions:
Y  0.099  0.901  0.500
Y  0.190  0.412  0.469
Y  0.412  0.190  0.969
Y  0.588  0.810  0.469
Y  0.810  0.588  0.969
Y  0.901  0.099  0.000
C  0.319  0.681  0.853
C  0.681  0.319  0.353
O  0.121  0.612  0.800
O  0.154  0.172  0.735
O  0.172  0.154  0.235
O  0.283  0.717  0.352
O  0.388  0.879  0.800
O  0.439  0.561  0.764
O  0.561  0.439  0.264
O  0.612  0.121  0.300
O  0.717  0.283  0.852
O  0.828  0.846  0.735
O  0.846  0.828  0.235
O  0.879  0.388  0.300

---

Entry 5:
This record from Alexandria describes a geometry-optimized AlGe2Se structure. The functional is PBE.

Results
**Raw total energy**: -63.7 eV for the cell shown
**Formation energy (no corrections)**: 0.54 eV/f.u.
**Space-group type**: I-42d, No. 122
**Total moment**: 0.000 μB/cell

Lattice parameters (Å, degrees): 5.858 5.858 12.234 90.00 90.00 90.00
Fractional positions:
Al  0.000  0.000  0.000
Al  0.000  0.500  0.250
Al  0.500  0.000  0.750
Al  0.500  0.500  0.500
Ge  0.230  0.250  0.125
Ge  0.250  0.730  0.375
Ge  0.250  0.770  0.875
Ge  0.270  0.250  0.625
Ge  0.730  0.750  0.625
Ge  0.750  0.230  0.875
Ge  0.750  0.270  0.375
Ge  0.770  0.750  0.125
Se  0.000  0.000  0.500
Se  0.000  0.500  0.750
Se  0.500  0.000  0.250
Se  0.500  0.500  0.000

---

Entry 6:
This record from Alexandria describes a geometry-optimized AcNdErSn structure. The functional is PBE.

Results
**Raw total energy**: -72.6 eV for the cell shown
**E_form**: -0.17 eV per atom